Listing.
'''
For BaSb2, a PBE-relaxed structure gives the simulated powder diffraction line list in this record (a wavelength of 1.5418 Å).

Main lines, most intense first (5 to 70 degrees two-theta):
Position (°2θ), d [Å], intensity
29.30, 3.048, 1000
30.55, 2.926, 973
34.33, 2.612, 335
28.70, 3.110, 298
40.23, 2.242, 292
28.33, 3.150, 259
23.03, 3.862, 240
54.73, 1.677, 182
53.89, 1.701, 181
43.74, 2.069, 170

Atomic structure:
```
BaSb2
1.0
5.2392 0.0000 0.0000
0.0000 4.4838 0.0000
-1.9232 0.0000 9.3311
Ba Sb
2 4
direct
0.0809 0.2500 0.2145
0.9191 0.7500 0.7855
0.3315 0.7500 0.5224
0.4604 0.2500 0.8957
0.5396 0.7500 0.1043
0.6685 0.2500 0.4776
```


For Nd4Lu11S22, a PBE-relaxed structure gives the simulated powder diffraction line list in this record (a wavelength of 1.5418 Å).

Main lines, most intense first (5 to 70 degrees two-theta):
Position (°2θ), d [Å], intensity
24.46, 3.639, 1000
23.73, 3.750, 796
27.91, 3.196, 628
31.78, 2.816, 613
26.64, 3.346, 611
42.47, 2.129, 549
34.24, 2.619, 541
27.62, 3.230, 482
46.44, 1.955, 424
44.54, 2.034, 350

Atomic structure:
```
Nd4Lu11S22
1.0
19.3953 -1.9555 0.0000
19.3953 1.9555 0.0000
-0.2742 0.0000 11.2511
Nd Lu S
4 11 22
direct
0.1044 0.1044 0.0131
0.3669 0.3669 0.3485
0.6331 0.6331 0.6515
0.8956 0.8956 0.9869
0.0000 0.0000 0.0000
0.0698 0.0698 0.3610
0.2023 0.2023 0.9416
0.2634 0.2634 0.3519
0.3423 0.3423 0.6986
0.4618 0.4618 0.2708
0.5382 0.5382 0.7292
0.6577 0.6577 0.3014
0.7366 0.7366 0.6481
0.7977 0.7977 0.0584
0.9302 0.9302 0.6390
0.0079 0.0079 0.2402
0.0872 0.0872 0.7531
0.1349 0.1349 0.4522
0.1690 0.1690 0.1517
0.1896 0.1896 0.6913
0.2550 0.2550 0.1191
0.2803 0.2803 0.5895
0.3500 0.3500 0.0920
0.4072 0.4072 0.7863
0.4450 0.4450 0.4936
0.4534 0.4534 0.0311
0.5466 0.5466 0.9689
0.5550 0.5550 0.5064
0.5928 0.5928 0.2137
0.6500 0.6500 0.9080
0.7197 0.7197 0.4105
0.7450 0.7450 0.8809
0.8104 0.8104 0.3087
0.8310 0.8310 0.8483
0.8651 0.8651 0.5478
0.9128 0.9128 0.2469
0.9921 0.9921 0.7598
```


For Li3Nb4CuO12, a PBE-relaxed structure gives the simulated powder diffraction line list in this record (a wavelength of 1.5418 Å).

Main lines, most intense first (5 to 70 degrees two-theta):
Position (°2θ), d [Å], intensity
23.29, 3.820, 1000
32.00, 2.797, 718
34.29, 2.615, 454
52.08, 1.756, 336
47.61, 1.910, 322
59.98, 1.542, 258
61.41, 1.510, 205
55.19, 1.664, 151
55.54, 1.655, 132
39.35, 2.290, 124

Atomic structure:
```
Li3Nb4CuO12
1.0
5.2302 0.0000 0.0000
0.0045 5.6185 0.0000
0.0034 0.7563 7.6414
Li Nb Cu O
3 4 1 12
direct
0.0000 0.0000 0.0000
0.0005 0.0040 0.5006
0.4979 0.5010 0.4983
0.4997 0.0741 0.7829
0.5013 0.0699 0.2849
0.9959 0.5701 0.7829
0.9973 0.5728 0.2887
0.4989 0.5219 0.0112
0.1261 0.6188 0.5516
0.1803 0.9245 0.2462
0.1862 0.2935 0.8680
0.3029 0.8000 0.8698
0.3187 0.4241 0.2486
0.3750 0.1161 0.5498
0.6278 0.1105 0.0502
0.6794 0.4215 0.7376
0.6945 0.7974 0.3724
0.8040 0.2976 0.3698
0.8180 0.9205 0.7447
0.8765 0.6203 0.0513
```


For SiO2, a PBE-relaxed structure gives the simulated powder diffraction line list in this record (a wavelength of 1.5418 Å).

Main lines, most intense first (5 to 70 degrees two-theta):
Position (°2θ), d [Å], intensity
10.12, 8.739, 1000
13.29, 6.663, 636
27.93, 3.195, 172
20.32, 4.370, 171
28.38, 3.145, 95
30.69, 2.913, 87
17.22, 5.148, 51
31.93, 2.803, 43
51.81, 1.765, 31
54.55, 1.682, 30

Atomic structure:
```
SiO2
1.0
10.0911 0.0000 0.0000
-5.0455 8.7391 0.0000
0.0000 0.0000 10.2963
Si O
12 24
direct
0.1373 0.5686 0.1035
0.1373 0.5686 0.3965
0.4314 0.5686 0.1035
0.4314 0.5686 0.3965
0.4314 0.8627 0.1035
0.4314 0.8627 0.3965
0.5686 0.1373 0.6035
0.5686 0.1373 0.8965
0.5686 0.4314 0.6035
0.5686 0.4314 0.8965
0.8627 0.4314 0.6035
0.8627 0.4314 0.8965
0.0000 0.5000 0.0000
0.0000 0.5000 0.5000
0.0649 0.5324 0.2500
0.2458 0.4915 0.0835
0.2458 0.4915 0.4165
0.2458 0.7542 0.0835
0.2458 0.7542 0.4165
0.4676 0.5324 0.2500
0.4676 0.9351 0.2500
0.4915 0.2458 0.5835
0.4915 0.2458 0.9165
0.5000 0.0000 0.0000
0.5000 0.0000 0.5000
0.5000 0.5000 0.0000
'''
Job.
Search the entries earlier on for the word "simulated" and print each line that has it.
Reply.
For BaSb2, a PBE-relaxed structure gives the simulated powder diffraction line list in this record (a wavelength of 1.5418 Å).
For Nd4Lu11S22, a PBE-relaxed structure gives the simulated powder diffraction line list in this record (a wavelength of 1.5418 Å).
For Li3Nb4CuO12, a PBE-relaxed structure gives the simulated powder diffraction line list in this record (a wavelength of 1.5418 Å).
For SiO2, a PBE-relaxed structure gives the simulated powder diffraction line list in this record (a wavelength of 1.5418 Å).